-- Brief --
Now restate everything underneath verbatim.

-- Source --
<<<
1.
The following is a DFT calculation (wB97M-V/def2-TZVPD) of an isolated molecule of C4H5N3 in a non-equilibrium geometry.

Each line ends with the Mulliken charge.
Positions of all 12 atoms, in Å:
N  2.603  -1.176  0.912  -0.407
C  1.748  -0.660  0.327  0.003
C  0.638  -0.058  -0.416  0.374
C  -0.651  -0.930  -0.341  -0.558
N  -1.751  0.006  -0.106  -0.523
C  -1.211  1.096  0.264  -0.073
N  0.172  1.213  0.146  -0.336
H  0.966  0.099  -1.452  0.214
H  -0.796  -1.544  -1.231  0.329
H  -0.605  -1.596  0.526  0.315
H  -1.778  1.944  0.635  0.386
H  0.701  1.647  0.890  0.276

Values from the calculation:
LUMO energy (eV): 0.7537
Energy relative to the best compared isomer or geometry (same formula, charge and spin) (kcal per mole): 31.3
HOMO-LUMO gap (eV): 10.312
F_max (eV/A): 1.1
Total charge: 0
SMILES: N#C[C@H]1CN=CN1

=====

2.
The following is a DFT calculation (wB97M-V/def2-TZVPD) of a cluster of 3 separate species, C4H5N3 in total in a non-equilibrium geometry.

Each line ends with the Mulliken charge.
Positions of all 12 atoms, in Å:
C  1.309  -1.264  -0.230  -0.406
N  -0.123  0.169  -0.791  -0.365
C  -0.509  1.103  -0.031  0.325
C  -1.520  2.077  -0.371  -0.093
N  -2.346  2.861  -0.576  -0.284
C  -0.376  -0.616  2.229  -0.176
N  -0.292  -1.419  1.363  -0.552
H  1.977  -0.481  -0.570  0.334
H  0.938  -1.939  -0.990  0.261
H  1.610  -1.737  0.690  0.336
H  -0.549  0.116  -1.717  0.210
H  -0.121  1.129  0.994  0.412

Values from the calculation:
LUMO energy (eV): -1.2962
Energy relative to the best compared isomer or geometry (same formula, charge and spin) (kcal per mole): 156.3
HOMO-LUMO gap (eV): 8.255
F_max (eV/A): 1.2
Total charge: 0

=====

3.
The following is a DFT calculation (wB97M-V/def2-TZVPD) of an isolated molecule of C4H5N3 in a non-equilibrium geometry.

Each line ends with the Mulliken charge.
Positions of all 12 atoms, in Å:
N  2.696  -1.483  0.476  -0.404
C  1.768  -0.907  0.101  0.142
C  0.606  -0.173  -0.398  0.205
C  -0.703  -0.916  -0.626  -0.532
N  -1.669  0.002  -0.596  -0.261
C  -1.235  1.109  -0.020  -0.407
N  0.005  0.670  0.664  -0.211
H  0.883  0.481  -1.248  0.257
H  -0.773  -1.826  -1.195  0.324
H  -0.299  -0.180  1.240  0.362
H  -1.858  1.845  0.478  0.240
H  0.580  1.378  1.123  0.284

Values from the calculation:
LUMO energy (eV): 0.4118
Energy relative to the best compared isomer or geometry (same formula, charge and spin) (kcal per mole): 96.5
HOMO-LUMO gap (eV): 8.082
F_max (eV/A): 1.0
Total charge: 0

=====

4.
The following is a DFT calculation (wB97M-V/def2-TZVPD) of an isolated molecule of C4H5N3O in a non-equilibrium geometry.

Each line ends with the Mulliken charge.
Positions of all 13 atoms, in Å:
H  -1.399  1.680  -0.452  0.324
N  -0.516  1.942  -0.154  -0.779
C  0.169  0.800  -0.004  0.667
O  1.548  0.808  0.129  -0.373
C  1.969  -0.467  0.026  -0.263
C  0.989  -1.375  -0.104  -0.313
N  -0.159  -0.485  0.045  0.530
N  -1.412  -1.007  -0.245  -0.729
C  -2.296  -0.296  0.191  -0.536
H  2.982  -0.545  0.093  0.481
H  0.867  -2.473  0.062  0.325
H  -2.025  0.584  0.787  0.382
H  -3.180  -0.822  0.298  0.284

Values from the calculation:
LUMO energy (eV): 0.8769
Energy relative to the best compared isomer or geometry (same formula, charge and spin) (kcal per mole): 101.2
HOMO-LUMO gap (eV): 9.250
F_max (eV/A): 5.1
Total charge: 0
SMILES: [H]/N=c1/occn1N=C

=====

5.
The following is a DFT calculation (wB97M-V/def2-TZVPD) of a structure of composition C4H5N3O in a non-equilibrium geometry.

Each line ends with the Mulliken charge.
Positions of all 13 atoms, in Å:
C  0.880  -0.657  -0.157  -0.306
>>>

-- Completed --
1.
The following is a DFT calculation (wB97M-V/def2-TZVPD) of an isolated molecule of C4H5N3 in a non-equilibrium geometry.

Each line ends with the Mulliken charge.
Positions of all 12 atoms, in Å:
N  2.603  -1.176  0.912  -0.407
C  1.748  -0.660  0.327  0.003
C  0.638  -0.058  -0.416  0.374
C  -0.651  -0.930  -0.341  -0.558
N  -1.751  0.006  -0.106  -0.523
C  -1.211  1.096  0.264  -0.073
N  0.172  1.213  0.146  -0.336
H  0.966  0.099  -1.452  0.214
H  -0.796  -1.544  -1.231  0.329
H  -0.605  -1.596  0.526  0.315
H  -1.778  1.944  0.635  0.386
H  0.701  1.647  0.890  0.276

Values from the calculation:
LUMO energy (eV): 0.7537
Energy relative to the best compared isomer or geometry (same formula, charge and spin) (kcal per mole): 31.3
HOMO-LUMO gap (eV): 10.312
F_max (eV/A): 1.1
Total charge: 0
SMILES: N#C[C@H]1CN=CN1

=====

2.
The following is a DFT calculation (wB97M-V/def2-TZVPD) of a cluster of 3 separate species, C4H5N3 in total in a non-equilibrium geometry.

Each line ends with the Mulliken charge.
Positions of all 12 atoms, in Å:
C  1.309  -1.264  -0.230  -0.406
N  -0.123  0.169  -0.791  -0.365
C  -0.509  1.103  -0.031  0.325
C  -1.520  2.077  -0.371  -0.093
N  -2.346  2.861  -0.576  -0.284
C  -0.376  -0.616  2.229  -0.176
N  -0.292  -1.419  1.363  -0.552
H  1.977  -0.481  -0.570  0.334
H  0.938  -1.939  -0.990  0.261
H  1.610  -1.737  0.690  0.336
H  -0.549  0.116  -1.717  0.210
H  -0.121  1.129  0.994  0.412

Values from the calculation:
LUMO energy (eV): -1.2962
Energy relative to the best compared isomer or geometry (same formula, charge and spin) (kcal per mole): 156.3
HOMO-LUMO gap (eV): 8.255
F_max (eV/A): 1.2
Total charge: 0

=====

3.
The following is a DFT calculation (wB97M-V/def2-TZVPD) of an isolated molecule of C4H5N3 in a non-equilibrium geometry.

Each line ends with the Mulliken charge.
Positions of all 12 atoms, in Å:
N  2.696  -1.483  0.476  -0.404
C  1.768  -0.907  0.101  0.142
C  0.606  -0.173  -0.398  0.205
C  -0.703  -0.916  -0.626  -0.532
N  -1.669  0.002  -0.596  -0.261
C  -1.235  1.109  -0.020  -0.407
N  0.005  0.670  0.664  -0.211
H  0.883  0.481  -1.248  0.257
H  -0.773  -1.826  -1.195  0.324
H  -0.299  -0.180  1.240  0.362
H  -1.858  1.845  0.478  0.240
H  0.580  1.378  1.123  0.284

Values from the calculation:
LUMO energy (eV): 0.4118
Energy relative to the best compared isomer or geometry (same formula, charge and spin) (kcal per mole): 96.5
HOMO-LUMO gap (eV): 8.082
F_max (eV/A): 1.0
Total charge: 0

=====

4.
The following is a DFT calculation (wB97M-V/def2-TZVPD) of an isolated molecule of C4H5N3O in a non-equilibrium geometry.

Each line ends with the Mulliken charge.
Positions of all 13 atoms, in Å:
H  -1.399  1.680  -0.452  0.324
N  -0.516  1.942  -0.154  -0.779
C  0.169  0.800  -0.004  0.667
O  1.548  0.808  0.129  -0.373
C  1.969  -0.467  0.026  -0.263
C  0.989  -1.375  -0.104  -0.313
N  -0.159  -0.485  0.045  0.530
N  -1.412  -1.007  -0.245  -0.729
C  -2.296  -0.296  0.191  -0.536
H  2.982  -0.545  0.093  0.481
H  0.867  -2.473  0.062  0.325
H  -2.025  0.584  0.787  0.382
H  -3.180  -0.822  0.298  0.284

Values from the calculation:
LUMO energy (eV): 0.8769
Energy relative to the best compared isomer or geometry (same formula, charge and spin) (kcal per mole): 101.2
HOMO-LUMO gap (eV): 9.250
F_max (eV/A): 5.1
Total charge: 0
SMILES: [H]/N=c1/occn1N=C

=====

5.
The following is a DFT calculation (wB97M-V/def2-TZVPD) of a structure of composition C4H5N3O in a non-equilibrium geometry.

Each line ends with the Mulliken charge.
Positions of all 13 atoms, in Å:
C  0.880  -0.657  -0.157  -0.306